Create NURBS Net |
The Effect->CreateNURBSNet command in the Model module generates QTMs (quadratic texture maps). This command is a necessary step before exporting models for certain games platforms.
A QTM is a quadratic NURBS surface with an associated texture. They can be drawn with parametric surface hardware accelerators.
This effect can be run either on polygon meshes with triangular or quadrilateral faces, or on quadratic NURBS surfaces. It is optimized for models generated by the Effect->Web command. Use polygon meshes if you want to keep a high level of detail. If you want to eliminate detail to speed up rendering, use NURBS surfaces.
When the effect converts a polygon mesh, it creates a separate QTM for each face. Similarly, when the effect converts a quadratic NURBS surface, it creates a separate QTM for each area of the surface bounded by control points. In both cases, the network of QTMs is grouped in a hierarchy under a null object. The original model is not destroyed.
Smooth Edges
This option smooths edges below the specified dihedral angle. It is applicable only to polygon mesh objects. If the dihedral angle of an edge is less than the value specified here, the effect creates QTMs that join smoothly.
**Next to the entry, the page also holds calculated molecules**
-- begin --
No. 1
56
Properties=species:S:1:pos:R:3:forces:R:3:nbo_charge:R:1 method="wB97M-V/def2-TZVPD" e_tot_ev=-63167.2840 lumo_ev=0.27
O -2.483822 5.487383 3.952487 0.3341 -0.0269 0.9831 -0.9202
S -2.738922 4.157042 3.536359 0.4543 1.5828 -1.1617 2.5244
O -3.419525 3.999832 2.308212 -0.3078 -0.8965 -0.1055 -0.8973
F -3.573838 3.454868 4.621284 0.1360 -0.3806 0.3276 -0.4539
N -1.300549 3.315609 3.575946 -0.5791 -0.0247 -0.6421 -0.8467
C -1.213843 2.388532 2.476549 -0.0274 -0.8431 -0.1179 0.1561
C -0.677264 2.711771 1.247108 0.2324 0.6573 0.7134 -0.2722
C -0.640490 1.759782 0.261301 0.6190 -0.1654 -1.6630 0.0405
N -1.109216 0.510358 0.322673 -0.1457 0.9227 1.1387 -0.4075
C -1.641154 0.260851 1.523387 -0.3846 -1.4559 -0.4239 0.0412
C -1.705644 1.105475 2.602943 -0.1643 0.3918 0.7158 -0.2732
H -0.550928 3.995146 3.493456 -0.1535 0.2435 0.3181 0.4185
H -0.267808 3.695740 1.064215 -0.0091 0.0600 -0.1211 0.2212
H -0.186061 2.039951 -0.683681 -0.0431 -0.0761 -0.0735 0.2128
H -2.068255 -0.729549 1.649140 0.0554 -0.0516 -0.0342 0.1883
H -2.138641 0.769209 3.535109 -0.0248 -0.0148 0.0154 0.2614
C -1.359483 2.115435 8.522307 0.0649 0.0796 0.2480 -0.1003
C -0.453290 2.612661 7.418942 0.1839 0.1984 0.0614 -0.1012
O -0.784861 1.741462 6.334779 -0.0897 -0.0618 0.1490 -0.4877
C -2.035277 1.266144 6.549643 -0.0076 0.0185 0.0191 0.9750
O -2.668048 0.652637 5.754044 -0.0509 -0.0823 -0.0817 -0.5844
O -2.467858 1.584211 7.791715 0.1204 0.0282 -0.0889 -0.4827
H -1.683798 2.905085 9.195057 -0.1898 -0.0341 -0.0699 0.2074
H -0.906024 1.313283 9.107393 0.0067 -0.0202 -0.0475 0.1867
H -0.674953 3.640943 7.125573 -0.0549 -0.0230 -0.0057 0.1886
H 0.601949 2.534748 7.668349 0.0139 -0.1351 -0.1530 0.2052
C -1.856056 -2.290793 -3.138830 -0.0787 -0.3218 0.0290 -0.1010
C -2.837271 -1.304170 -3.729073 -0.2283 -0.0973 -0.0927 -0.1001
O -2.269952 -0.046328 -3.354703 0.1185 -0.1467 -0.0140 -0.4820
C -0.946229 -0.231028 -3.149133 0.0017 0.1587 0.1694 0.9768
O -0.159222 0.643389 -2.991820 0.1508 0.0797 -0.0469 -0.5832
O -0.631653 -1.550112 -3.149054 -0.1564 0.0209 -0.0217 -0.4994
H -1.761771 -3.199769 -3.728191 0.1995 0.0657 -0.0487 0.2087
H -2.097272 -2.556870 -2.108033 -0.0025 0.0805 0.0102 0.1872
H -2.883604 -1.360437 -4.818263 0.0544 -0.0034 0.0078 0.1886
H -3.840965 -1.410387 -3.325538 0.0263 0.1879 0.0826 0.2060
C 3.010891 -1.490079 -6.223712 0.2351 0.2884 0.0164 -0.1167
C 1.655240 -1.674501 -5.592293 -0.1080 0.2512 0.1942 -0.1000
O 1.071938 -2.706668 -6.397138 0.1299 0.0006 -0.0153 -0.5020
C 2.086078 -3.409628 -6.965501 0.0863 0.0146 0.0324 0.9671
O 1.945011 -4.430929 -7.554085 -0.0451 -0.1137 -0.0598 -0.5809
O 3.273500 -2.792517 -6.765003 -0.2283 0.0208 0.0110 -0.4863
H 3.768576 -1.203524 -5.501079 0.0928 -0.2442 -0.0942 0.2420
H 3.004403 -0.764302 -7.040221 -0.1008 -0.0746 -0.0487 0.1764
H 1.717910 -2.024367 -4.561095 0.0287 -0.0256 -0.0243 0.1900
H 1.050494 -0.771166 -5.622349 -0.1345 -0.1019 -0.0864 0.2017
C 3.123180 -2.161824 -0.660814 -0.1970 -0.0140 0.2301 -0.1037
-- stop --
The dihedral angle of an edge is the angle between the normals of its adjacent faces. Dihedral angles range in value between zero and 180 degrees. Edges in flat areas have small dihedral angles, and edges in sharp areas have large dihedral angles.
Resample Textures
This option creates a new texture for each QTM. Textures are resampled at the value specified in texture elements (texels) per SOFTIMAGE unit. The default is 20. Use higher values to keep more detail, and lower values to eliminate more detail.
Textures are created in the current directory. However, you are prompted to move them to the PICTURES directory when you save the scene. If you are not running SOFTIMAGE 3D from your home directory, make sure that you have write permission for the current directory; otherwise, textures cannot be generated.
• Attached: molecular data:
'''
(1)
Below is a cluster of 2 separate species, C11H18 in total, with properties calculated with ωB97M-V/def2-TZVPD.

## Properties
- Kohn-Sham gap (eV) = 10.0
- SMILES = Cc1ccccc1.CC(C)C
- energy above the lowest of the compared OMol25 structures with the same formula, charge and spin (kcal/mol) = 6.3
- highest occupied orbital energy (eV) = -9.1
- M (g/mol) = 150.3
- charge = 0

Last column: natural (NBO) charge in e.
Atoms and positions in Å:
C 4.384 -2.451 -0.193  -0.628
C 3.086 -1.712 -0.434  -0.020
C 3.131 -0.341 -0.709  -0.203
C 1.979 0.349 -1.035  -0.208
C 0.761 -0.326 -1.037  -0.229
C 0.693 -1.668 -0.737  -0.194
C 1.874 -2.372 -0.483  -0.219
H 4.882 -2.130 0.722  0.220
H 5.032 -2.319 -1.059  0.218
H 4.213 -3.528 -0.108  0.213
H 4.100 0.148 -0.679  0.207
H 1.978 1.417 -1.198  0.213
H -0.149 0.223 -1.252  0.209
H -0.238 -2.214 -0.764  0.211
H 1.814 -3.449 -0.383  0.208
C -1.925 2.561 0.071  -0.606
C -2.388 1.207 0.641  -0.228
C -2.674 1.242 2.131  -0.599
C -3.601 0.734 -0.155  -0.607
H -1.452 3.218 0.804  0.206
H -2.777 3.103 -0.344  0.204
H -1.195 2.420 -0.726  0.205
H -1.594 0.468 0.484  0.196
H -3.522 1.867 2.412  0.201
H -2.834 0.215 2.483  0.207
H -1.800 1.627 2.661  0.207
H -3.476 0.795 -1.240  0.207
H -3.799 -0.336 -0.042  0.205
H -4.501 1.253 0.167  0.202

=====

(2)
Below is a structure of composition C27H19BCoF7N4S2, with properties calculated with ωB97M-V/def2-TZVPD.

## Properties
- Kohn-Sham gap (alpha / beta) (eV) = 5.5 / 5.5
- multiplicity = 2
- expectation value of S² = 0.760
- energy above the lowest of the compared OMol25 structures with the same formula, charge and spin (kcal/mol) = 0.0
- highest occupied orbital energy (alpha / beta) (eV) = -3.5 / -3.4
- M (g/mol) = 666.3
- charge = -1

Last column: natural (NBO) charge in e.
Atoms and positions in Å:
Co -0.007 -0.960 -0.308  0.973
C 1.688 3.132 -3.074  -0.262
C 0.394 3.368 -3.512  -0.174
C -0.670 2.957 -2.726  -0.247
C -0.388 2.305 -1.528  0.162
N 0.849 2.097 -1.099  -0.383
C 1.865 2.495 -1.852  0.054
C -1.462 1.820 -0.613  0.182
C -2.651 2.519 -0.484  -0.195
C -3.567 2.120 0.475  -0.159
C -3.259 1.049 1.286  -0.192
C -2.072 0.364 1.064  0.192
N -1.203 0.725 0.111  -0.446
C -1.652 -0.791 1.905  0.263
C -2.359 -1.234 3.008  -0.232
C -1.805 -2.237 3.786  -0.151
C -0.562 -2.742 3.453  -0.250
C 0.063 -2.282 2.305  0.101
N -0.490 -1.346 1.540  -0.445
H 2.544 3.426 -3.667  0.216
H 0.211 3.851 -4.463  0.215
H -1.687 3.102 -3.064  0.216
H 2.849 2.272 -1.454  0.219
H -2.837 3.392 -1.094  0.211
H -4.503 2.649 0.595  0.215
H -3.949 0.715 2.042  0.224
H -3.333 -0.832 3.239  0.217
H -2.342 -2.616 4.646  0.212
H -0.083 -3.508 4.047  0.220
H 1.015 -2.665 1.966  0.246
S 2.296 -0.290 0.270  -0.487
C 3.131 -1.834 0.106  -0.088
C 4.505 -1.906 0.376  -0.276
C 5.231 -3.077 0.239  -0.251
C 4.586 -4.234 -0.183  -0.258
C 3.228 -4.190 -0.453  -0.228
C 2.479 -3.016 -0.315  -0.249
S 0.749 -3.107 -0.673  -0.304
H 4.998 -0.997 0.701  0.203
H 6.292 -3.087 0.458  0.192
H 5.134 -5.162 -0.300  0.193
'''
Export QTM Network
_Someone pasted quantum chemistry results at this point_
-- begin --
Entry 1:
99
Properties=species:S:1:pos:R:3:forces:R:3 method="wB97M-V/def2-TZVPD" e_tot_ev=-135174.3508 homo_lumo_gap_ev=3.8 charge=0 e_above_lowest_kcal_mol=302.5
Cd -4.79480 -18.39685 -4.91992 0.253 0.523 -0.148
S -4.83878 -14.12521 -5.25650 0.968 2.579 0.100
O -3.85831 -15.13275 -5.68590 1.639 -2.836 -0.995
O -4.31925 -13.49829 -4.08565 0.322 0.995 1.464
O -5.09598 -13.24861 -6.34650 -0.648 0.584 -0.836
O -5.84971 -15.07911 -4.91235 -2.461 -1.852 0.384
C -13.11931 -14.99689 -5.36876 -0.881 -1.381 -0.085
O -14.15208 -14.07398 -5.67364 -0.361 0.068 0.996
C -14.36178 -13.62862 -6.89129 3.703 0.320 -2.458
O -13.76427 -14.00924 -7.91566 -1.844 0.412 2.088
O -15.03262 -12.50467 -6.76431 -1.033 1.112 0.378
C -14.93820 -11.51480 -7.80152 0.191 -0.668 -0.622
H -12.21424 -14.91857 -5.97110 -0.181 0.404 0.066
H -13.56751 -15.97924 -5.51776 0.379 -0.297 -0.224
H -12.96901 -14.94098 -4.29062 0.304 0.448 -0.209
H -13.89596 -11.33615 -8.06596 0.038 -0.396 -0.142
H -15.30638 -10.54182 -7.47616 -0.463 -0.512 0.436
H -15.49960 -11.91814 -8.64428 0.153 0.492 -0.226
C 1.34601 -22.56126 -5.17169 0.835 0.789 1.229
O 1.02438 -22.30181 -6.52007 1.373 -1.694 0.705
C -0.06354 -21.67728 -6.78326 -3.011 2.107 -0.299
O -0.80107 -21.03528 -6.00544 2.079 -1.971 -2.224
O -0.28749 -21.76181 -8.12350 -0.012 -0.030 0.145
C 0.38081 -22.70551 -9.04602 -0.433 1.100 -0.459
H 1.29461 -21.62803 -4.61087 0.128 0.057 -0.008
H 2.37658 -22.91606 -5.18338 -0.190 -0.057 0.053
H 0.70822 -23.25371 -4.62227 -0.267 -0.244 -0.671
H 1.46092 -22.68957 -9.19161 0.249 0.147 1.405
H 0.12056 -22.26655 -10.00918 -0.758 -0.401 -0.004
H 0.00996 -23.72441 -8.93447 -0.042 0.238 0.146
C -7.61768 -16.45728 -11.11931 0.444 -0.444 0.008
O -7.18322 -17.75760 -11.72795 -0.416 0.069 1.056
C -6.81009 -18.81041 -10.90816 1.023 0.634 0.097
O -6.53592 -18.71755 -9.70346 -1.141 -0.735 -3.599
O -6.65078 -19.98429 -11.66420 0.479 0.936 3.755
C -6.74767 -20.13712 -13.04799 -0.358 1.750 -1.067
H -8.47852 -16.02497 -11.62936 -0.490 -1.120 -0.064
H -6.93089 -15.62936 -11.29530 0.962 -0.681 0.104
H -7.77703 -16.57599 -10.04757 -0.049 -0.105 -0.228
H -7.80999 -20.21954 -13.27774 0.154 -0.026 -0.531
H -6.16951 -20.95952 -13.46928 -0.133 -0.422 0.906
H -6.28751 -19.25805 -13.49921 -0.455 0.159 -0.392
C -1.30936 -17.27403 2.91559 -0.600 1.354 1.963
O -1.71457 -17.74421 1.68100 -1.916 -0.468 -2.166
C -2.95996 -17.38588 1.16345 0.704 -0.411 -1.367
O -3.37972 -17.86210 0.11607 0.795 0.821 2.448
O -3.54128 -16.40360 1.88919 -0.315 -0.731 -0.375
C -4.95782 -16.17685 1.73222 -1.157 0.126 0.567
H -2.04664 -17.48772 3.68946 -0.136 -0.299 0.047
H -1.27354 -16.18462 2.91383 0.454 0.085 -0.064
H -0.36934 -17.69553 3.27169 0.015 -0.142 -0.748
H -5.55839 -16.92236 1.21105 0.876 -0.433 -0.272
H -5.25228 -15.22594 1.28818 0.912 0.136 -0.265
H -5.39114 -16.14297 2.73182 0.355 -0.042 0.196
C -7.93506 -8.08923 -4.05743 1.038 -1.276 -1.435
C -6.86938 -7.02226 -4.37280 -0.567 -0.248 0.037
O -7.34877 -5.96244 -3.59673 1.277 0.225 0.030
-- stop --
_End of the quantum chemistry results_
This option exports the structure of the resulting QTM network to an ASCII file. This allows you to write your own routines for manipulating them or importing them to other formats. The ASCII file consists of three lists:
- A list of control points.
- A list of normals.
- A list of QTMs, referencing the lists of control points and normals.
Type a file name for the ASCII file in the text box provided, or click the Browser button to select a directory and file name.
Last updated 02-apr-1998